Welcome to Dosbarth Yr Wyddfa. We are a mixed class of years 3-6.

We are taught by Miss Taylor and are assisted by Mrs Lewis & Mrs White.


Autumn Term 2024 

### Someone pasted calculated crystals at this point
1.
# Hf3TlSi5

A relaxed structure of Hf3TlSi5 (PBE-GGA, OQMD).

Unit cell a=5.7977 b=5.7977 c=6.6689 alpha=90.00 beta=90.00 gamma=120.00
Atoms (fractional coordinates):
Hf 0.0000 0.5000 0.0000
Hf 0.5000 0.0000 0.0000
Hf 0.5000 0.5000 0.0000
Tl 0.0000 0.0000 0.5000
Si 0.0000 0.0000 0.0000
Si 0.3333 0.6667 0.3266
Si 0.3333 0.6667 0.6734
Si 0.6667 0.3333 0.3266
Si 0.6667 0.3333 0.6734

Summary:
* calculated density: 7.53 g/cm3
* space-group type: No. 191
* E: -58.37 eV/f.u.



2.
# HfNiOsPb

A relaxed structure of HfNiOsPb (PBE-GGA, OQMD).

Unit cell a=6.5427 b=6.5427 c=6.5427 alpha=90.00 beta=90.00 gamma=90.00
Atoms (fractional coordinates):
Hf 0.0000 0.0000 0.0000
Hf 0.0000 0.5000 0.5000
Hf 0.5000 0.0000 0.5000
Hf 0.5000 0.5000 0.0000
Ni 0.0000 0.0000 0.5000
Ni 0.0000 0.5000 0.0000
Ni 0.5000 0.0000 0.0000
Ni 0.5000 0.5000 0.5000
Os 0.2500 0.2500 0.7500
Os 0.2500 0.7500 0.2500
Os 0.7500 0.2500 0.2500
Os 0.7500 0.7500 0.7500
Pb 0.2500 0.2500 0.2500
Pb 0.2500 0.7500 0.7500
Pb 0.7500 0.2500 0.7500
Pb 0.7500 0.7500 0.2500

Summary:
* calculated density: 15.05 g/cm3
* space-group type: No. 216
* E: -28.85 eV/f.u.



3.
# BaSrCuSi3

A relaxed structure of BaSrCuSi3 (PBE-GGA, OQMD).

Unit cell a=8.6648 b=8.2951 c=6.4131 alpha=70.88 beta=64.76 gamma=44.37
Atoms (fractional coordinates):
Ba 0.2452 0.7548 0.2452
Ba 0.7548 0.2452 0.7548
Sr 0.2500 0.2500 0.2500
Sr 0.7500 0.7500 0.7500
Cu 0.3322 0.3322 0.6678
Cu 0.6678 0.6678 0.3322
Si 0.1668 0.6636 0.8332
Si 0.1680 0.1680 0.8320
Si 0.3364 0.8332 0.6636
Si 0.6636 0.1668 0.3364
Si 0.8320 0.8320 0.1680
Si 0.8332 0.3364 0.1668

Summary:
* calculated density: 4.25 g/cm3
* space-group type: No. 69
* E above lowest polymorph: 0.0 meV/atom
* E: -26.28 eV/f.u.



4.
# LiTa3Ge5

A relaxed structure of LiTa3Ge5 (PBE-GGA, OQMD).

Unit cell a=5.5786 b=5.5786 c=6.7162 alpha=90.00 beta=90.00 gamma=120.00
Atoms (fractional coordinates):
Li 0.0000 0.0000 0.0000
Ta 0.0000 0.5000 0.5000
Ta 0.5000 0.0000 0.5000
Ta 0.5000 0.5000 0.5000
Ge 0.0000 0.0000 0.5000
Ge 0.3333 0.6667 0.1813
Ge 0.3333 0.6667 0.8187
Ge 0.6667 0.3333 0.1813
Ge 0.6667 0.3333 0.8187

Summary:
* calculated density: 8.38 g/cm3
* space-group type: No. 191
* E: -60.38 eV/f.u.



5.
# NdSnBC2

A relaxed structure of NdSnBC2 (PBE-GGA, OQMD).

Unit cell a=5.4430 b=5.4415 c=5.9949 alpha=90.00 beta=116.35 gamma=90.00
Atoms (fractional coordinates):
Nd 0.0000 0.0000 0.0000
Nd 0.5000 0.5000 0.0000
Sn 0.3035 0.0000 0.5950
Sn 0.8035 0.5000 0.5950
B 0.1374 0.5000 0.2709
B 0.6374 0.0000 0.2709
C 0.0010 0.5000 0.0034
C 0.2780 0.5000 0.5469
C 0.5010 0.0000 0.0034
C 0.7780 0.0000 0.5469

Summary:
* calculated density: 6.22 g/cm3
* space-group type: No. 8
* E: -32.62 eV/f.u.



6.
# Ta4ZnSiN2

A relaxed structure of Ta4ZnSiN2 (PBE-GGA, OQMD).

Unit cell a=3.0234 b=3.0234 c=13.7878 alpha=90.00 beta=90.00 gamma=120.00
Atoms (fractional coordinates):
Ta 0.0000 0.0000 0.1465
Ta 0.0000 0.0000 0.8535
Ta 0.6667 0.3333 0.3391
Ta 0.6667 0.3333 0.6609
Zn 0.0000 0.0000 0.5000

Our topic this term is Lights, Camera, Action! Ein thema y tymor yma yw Lights, Camera, Action!  

Grab your popcorn, sit back and enjoy our new topic Lights, Camera, Action! As we delve into all things film related. We will begin by looking at early inventions and the birth of cinema. 

Reading / Darllen  

Children must bring their reading book in every day, and this includes their reading record. Please make sure you fill in their reading record at least once a week.  

Homework/ Gwaith Cartref  

Homework will be sent home on a Monday, to be returned for the following Monday. Each week it will alternate between Maths and Literacy activities. This allows parents/guardians to see what your child has been covering within school and an opportunity to reinforce their learning at home.  

The children’s spellings will be sent home on seesaw each Monday to practice at home ready to be tested on Friday morning. This year the children will complete The Spelling Shed activities within school as part of their morning activities.  

Times tables will be sent home on a Monday for the children to practice for a test the following Monday. Times tables are very important in Maths and knowing them will build their confidence not only with multiplication but within other areas of Maths.  

Literacy/ Llenyddiaeth  

This term, we will study the novel the BFG and complete a range of activities to enhance our reading, writing, speaking and listening skills. We will make comparisons between the novel and the animations.  

Maths / Mathamateg  

During the first half of the Autumn term, we will focus on place value, addition and subtraction and rounding. We have problem solving and mental maths activities on a Monday as well as a times table test.  

Forest Schools / Ysgolion Goedwig  

Forest school is on Friday mornings. For the first half of the Autumn Term, we will be focusing on orienteering skills and activities that link in with our class topic.  Please ensure you send your child in appropriate clothing. Remember Forest School can be messy – wear old clothes!   

Physical Education / Addysg Gorfforol  

PE is on a Monday afternoon; the children can come to school in their P.E. kits. Our focus this term is Badminton, Netball and Dance.  

Daily Mile / Milltir Y Dydd  

Everyday weather permitting your child will be involved in a brisk walk/jog/run around the school. We have found that this contributes to improved alertness and mood, and they are ready to learn when they return to the classroom.  

Myself and the team are looking forward to another fantastic year!